

  • Thank you all for your congrats :) I looked at Jeff Galloway's plan at http://www.jeffgalloway.com/training/half_marathon.html , took out the alternating "rest" weeks for the long runs, although I wasn't strict about it, I semi-followed it. I wish I had started earlier to train, but there is always next year! I tried to…
  • This is a good topic to bring up because I think this is something that we all kind of feel in some way. I know I felt it when I first started running , and a couple of months ago, when I was running at dawn like I had been doing I passed a couple of younger ladies that were barely awake, and a sarcastic "ya, you run, good…
Between two parts of the piece: data records:
/*
[1]
87
Properties=species:S:1:pos:R:3 method="wB97M-V/def2-TZVPD" e_homo_ev="-12.8681 / -12.8860" e_above_lowest_kcal_mol=50.80 total_charge=+2 multiplicity=1
Pb 1.278 -1.090 1.935
Se 0.461 -1.856 4.422
P 2.004 0.214 -4.085
P 0.158 -2.107 -3.637
C -2.145 2.715 6.013
C -1.058 2.820 4.983
C -1.340 -1.438 0.104
C -1.671 -2.948 -5.689
C -2.188 -3.901 -6.575
C -2.975 0.193 4.400
C 3.442 3.028 -1.491
C 0.781 0.608 7.952
C -0.082 -1.927 7.240
C -0.546 -3.247 -4.910
C -0.393 -1.409 8.497
C 3.739 2.701 -6.969
C 1.062 0.109 6.670
C -0.336 -5.374 -6.066
C -2.381 -2.367 0.237
C 2.760 0.914 -5.647
C 0.159 -4.442 -5.156
C -0.995 2.468 3.692
C 2.081 1.691 -2.984
C -1.533 -5.124 -6.755
C -2.426 0.191 5.623
C 2.467 4.036 -1.523
C -0.585 -0.570 -4.223
C -1.905 -3.235 -1.983
C 1.050 2.636 -2.902
C 2.302 -0.052 3.623
C -0.873 -2.299 -2.112
C -3.289 1.401 3.570
C 3.387 2.163 -5.724
C 0.034 -0.131 8.875
C 3.238 1.841 -2.194
C -2.037 1.862 2.804
C 1.261 3.829 -2.204
C 2.618 0.143 -6.815
C -0.586 -1.399 -1.067
C -2.365 1.310 6.605
C -2.673 -3.248 -0.811
C 3.524 1.959 -8.136
C 0.290 0.388 -4.643
C 0.532 -1.128 6.234
C 2.980 0.668 -8.057
H 4.174 3.704 -7.020
H 3.563 2.737 -4.816
H 3.775 2.389 -9.109
H -4.052 1.078 2.843
H -1.941 -5.872 -7.439
H 3.060 0.443 3.000
H -0.387 -2.945 6.991
H 0.209 -6.303 -6.242
H 2.185 -0.856 -6.751
H -3.322 1.354 7.163
H 0.235 -0.676 -1.165
H -0.223 0.285 9.849
H 3.980 1.038 -2.168
H 2.645 4.984 -1.011
H -3.496 -3.958 -0.728
H -1.164 -0.722 0.924
H -1.864 3.400 6.842
H -2.156 -1.975 -5.612
H 2.806 -0.577 4.452
H -0.035 2.594 3.164
H -3.105 -3.683 -7.128
H -1.609 0.987 2.274
H 4.369 3.172 -0.932
H -1.564 1.119 7.338
H 1.706 0.696 6.012
H -3.141 -0.763 3.878
H -1.680 -0.459 -4.226
H 0.022 1.247 -5.286
H 1.164 1.592 8.233
H 1.091 -4.629 -4.618
H -0.181 3.377 5.355
H 1.602 0.686 4.026
H -2.332 2.598 2.035
H 0.095 2.467 -3.407
H 0.482 4.597 -2.207
H -2.085 -0.768 6.026
H -0.979 -2.008 9.196
H -3.100 3.064 5.602
H 2.832 0.080 -8.967
H -2.115 -3.926 -2.805
H -3.728 2.228 4.152
H -2.961 -2.398 1.161

=====

[2]
105
Properties=species:S:1:pos:R:3 method="wB97M-V/def2-TZVPD" e_homo_ev=-8.6733 multiplicity=1
Br -4.926 -2.783 3.310
Br -6.215 -0.459 1.260
S -3.316 -1.588 -2.475
P -2.602 -1.486 -0.675
O 4.540 -6.060 -0.516
O 8.022 -7.576 -10.213
O -4.483 2.121 2.567
O 5.052 0.065 0.811
O 6.840 -2.922 -8.025
O 4.705 -3.812 0.763
O -0.505 0.440 -2.364
O 7.306 -2.942 -10.581
O -0.774 4.407 -0.851
O 6.865 -2.043 -3.026
O 3.001 -0.392 1.613
O 7.488 -7.564 -7.673
O -8.689 -0.451 4.233
O -3.100 4.447 2.865
O 6.638 -4.276 -4.328
N -7.281 1.694 3.653
N 0.182 2.269 -1.068
C 3.993 0.281 3.747
C -0.800 3.237 -0.617
C 7.742 -6.477 -9.772
C -2.461 -1.449 3.003
C 7.689 -5.263 -10.560
C 6.310 -2.925 -2.399
C 3.856 0.022 0.664
C 5.074 -5.170 -1.152
C 7.429 -6.398 -8.295
C -1.469 7.584 3.836
C -1.874 2.455 0.069
C -5.657 2.852 2.203
C 5.797 -2.782 -1.051
C -0.674 1.133 -1.412
C 3.582 -0.860 2.840
C -0.990 7.235 5.090
C 7.122 -5.241 -7.692
C -4.401 -0.499 1.734
*/
  • I was concerned about not making it through a 45 minute time limit in my first 5k as well. In practice runs , I had only gotten there twice. I had to walk about half of it and still made it under 40 minutes. The excitement of the atmosphere will definitely inspire you and you'll end up going faster than you realize. That…
  • That is so fantastic! Congratulations to you! That is big deal and shows your commitment! I haven't been caught in a downpour yet, but I actually like running with a little bit of rain to cool me down.
  • It comes when it comes. I know when it hit for me. There was a switch that flipped in me when I saw the clock on my second 5k. Story below, stop reading if you don't wanna hear my life story lol. On my first 5k , I hated it, I was not ready... but I committed, and it was 87 degrees and humid and I was overweight. I did not…
  • The first time I saw that I was just mesmerized. Love it!
  • Although I've always had the ability to run, I never had the inspiration. In high school, when I was skinny, we had to run a "12 min run", and see how far we could make it. I remember the farthest I could go was 1.4 miles. I was quick though, I used to pinch run for the slow kids on the baseball team. Anyway, I never…
# Calculated molecules from another source follow
{
  "formula": "C55H62FFeN2O11P4S",
  "method": "ωB97M-V/def2-TZVPD",
  "symbols": ["Fe", "O", "S", "C", "C", "C", "C", "C", "C", "P", "C", "C", "C", "C", "C", "C", "C", "C", "C", "C", "C", "C", "C", "C", "C", "C", "C", "C", "P", "C", "C", "C", "C", "C", "C", "C", "C", "C", "C", "C", "C", "H", "H", "H", "H", "H", "H", "H", "H", "H", "H", "H", "H", "H", "H", "H", "H", "H", "H", "H", "H", "H", "H", "H", "H", "H", "H", "H", "H", "C", "C", "C", "O", "P", "O", "C", "P", "O", "O", "C", "C", "C", "O", "C", "C", "C", "O", "C", "C", "C", "H", "H", "H", "H", "H", "H", "H", "H", "H", "H", "H", "H", "H", "H", "H", "H", "H", "H", "H", "H", "H", "H", "H", "H", "H", "H", "H", "H", "H", "H", "F", "C", "C", "N", "C", "C", "O", "O", "C", "O", "N", "C", "O", "H", "H", "H", "H"],
  • I agree with Kathleen. Start now, and if you have extra time then you can always restart the program from the midway mark or higher. However, if you feel like you need an extra week at a certain long run distance before you move up, you can do it again during your training too. I had issues going from 8.5 -10 mi , fwiw. I…
  • This is what I was hoping for. Thank you all for your replies. And Camilla, that was very deep and thought provoking.
  • Its deceiving from that one picture. I did choose the one of few I felt I looked ok in . I am 5'9" 177 right now. The only bit of muscles I have are in my calves from running so much over the summer. I don't lift. Anything. Ever. Maybe a burrito. I'd lift a burrito. Regarding honesty and activity level, I didn't do jack…
  • Also, I'm curious unlikely how? Do you think It should be higher or lower?
  • 1870 - That's my MFP Calc for my new goal of losing 1/2 lb per week at my current weight (I gained back 3 lbs). I've looked at TDEE calcs and I come in around 2100ish I think?
  • I just started running in June. Therefore, I pretty much know nothing, except for what I've done. My longest runs went from 6.5 to 12.5 in the course of 8 weeks, where I wasn't doing one run more than 5m before that per week. I'm doing one more 13 miler before my first Half in 17 days. Going up the ladder in mileage seemed…
  • I've got my first one in 3 weeks. I feel the same way, I don't WANT to taper. I've made it this far, I want to keep it up so I don't flake out. Best of luck to you!!!!
  • My first one is in three weeks! If you're already up to 9 or 10 mi that's great. I did my first 10 miler 3 weeks ago, been increasing the long run each week. I just started running in June, have done four 5k's this summer and have a 10K planned for the week before the HM. I can say I'm actually ready for it now! I was…
  • I think we all need some kind of motivation. I have a ten year old daughter too, and that wouldn't motivate her as much as it would motivate my 8 year old son, but he loves running anyway. Not sure what I could get her to do to run, actually. :) Perhaps only if a large animal was chasing her... but even then...... Anyway,…
  • Mapmyrun told me I burned 1700 calories running yesterday. But I did run for two full hours. Average 30 min run for me burns about 450-475 calories.
  • I'm in a similar situation (leave for work at 7AM, get back after 5PM) , so I started just getting up an hour earlier (5AM) to run or go to the gym. I have to force myself to go to bed earlier though, or I just wont do it. I used to go to sleep around 11PM-Midnight, but now, I'm trying to make sure I'm definitely in bed by…
  • When I started running, the biggest obstacle for me was breathing. I wouldn't say I was running too fast, but I was certainly running harder than my body was used to. But running started with walking. I walked about 3 miles everyday for a couple weeks before I decided I would start running. I slowly worked in running,…
  • I just wanted to say congrats on signing up for your first 5k!
  • So I've only been running since June, but I already had a preconceived notion of not liking the treadmill. While I have gone on the treadmill at the gym, and done about half hour runs on there, I just cant put the same amount of effort into it. I have this paralyzing fear that I'm going to be "that guy" , the one that…
  • Doing a themed 5k for your first one sounds so great! I'm doing my 4th 5K on Saturday, then another the Sunday after that... Then gearing up for ... yes, I think I am, haven't signed up quite yet but .... my first 1/2 Marathon in October.
  • Thank you , that sounds good. I like the idea of tapering off. There's a 10K I want to do the week before the HM.
  • I ate before the run - regular breakfast - coffee, eggs , sausage , waited about 45 min then set up. I have heard of the whole idea of snacking on the run , but that just doesn't seem to compute for me...